Could you type out only the lines below with the word "overall" in them?
+++
DFT (the ωB97M-V functional and the def2-TZVPD basis) results for a 2-piece molecular cluster, C4H11NOS overall.

Last column: Löwdin charge in e.
Geometry (Å):
S: -2.4351 -2.8376 -5.1570  0.704
O: -1.3546 1.2352 1.2791  0.027
N: -3.4575 0.3907 1.2911  0.129
C: -0.9634 -3.4103 -4.2923  -0.458
C: -2.7521 1.7422 3.1783  -0.025
C: -1.8684 -1.1755 -5.5546  -0.458
C: -2.4353 1.1139 1.8388  -0.604
H: -3.0051 0.9708 3.9249  0.083
H: -3.3007 -0.0576 0.3850  0.115
H: -1.1409 -4.4491 -3.9666  0.031
H: -0.0775 -3.3941 -4.9492  0.037
H: -1.6421 -0.5974 -4.6429  0.037
H: -0.9669 -1.1978 -6.1898  0.037
H: -4.3603 0.2911 1.7617  0.107
H: -3.6006 2.4419 3.0940  0.083
H: -0.7527 -2.7937 -3.4023  0.037
H: -1.8698 2.3003 3.5341  0.086
H: -2.6744 -0.6623 -6.1056  0.031

Summary:
Charge: 0
SMILES: CC(N)=O.CSC
E_tot, eV: -18699.5914
Relative energy (zero: lowest compared OMol25 entry of this formula, charge and spin), kJ/mol: 31.6
Max |F|, eV/Å: 0.9
E_HOMO, eV: -8.511
E_LUMO, eV: 0.69

----------

[1]
A molecular structure, C25H44F14Li3N3O23S11 in a non-equilibrium geometry. Source: the OMol25 dataset; level of theory: wB97M-V/def2-TZVPD.

Values from the calculation:
multiplicity = 1
electronic energy = -8674.07936 Ha
E_HOMO = -0.3317 hartree
gap between HOMO and LUMO = 4.657 eV

Positions of all 123 atoms, in Å:
1 Li -0.3148 3.8711 -1.7237
2 Li 6.8424 -2.6532 -4.9284
3 Li 0.4171 2.0904 -5.2420
4 N -0.4434 5.7875 -4.8954
5 S -2.0171 6.3526 -5.2454
6 O -2.4492 6.3640 -6.6130
7 O -2.4823 7.3232 -4.2592
8 F -2.7611 5.0154 -4.7597
9 S 0.2527 7.0407 -5.4298
10 O 0.3458 8.1752 -4.5320
11 O 0.0411 7.3122 -6.8542
12 F 1.7649 6.4739 -5.2858
13 N 7.8782 -5.9487 -3.3055
14 S 7.6249 -6.0686 -1.5564
15 O 7.4780 -4.7546 -0.9659
16 O 8.1609 -7.1036 -0.6651
17 F 6.1293 -6.5281 -1.5799
18 S 9.2837 -6.5484 -3.1117
19 O 9.3474 -8.0114 -3.1523
20 O 10.2975 -5.7457 -2.5045
21 F 9.7858 -6.1501 -4.6691
22 N 1.3457 0.5287 -1.8536
23 S 2.9727 0.5205 -1.4121
24 O 3.8788 -0.1700 -2.3738
25 O 3.3839 0.5009 -0.0011
26 F 3.1505 2.0953 -1.7008
27 S 1.0388 -0.7817 -1.1477
28 O 0.3769 -0.6089 0.1542
29 O 1.7738 -2.0125 -1.4809
30 F -0.3707 -1.0114 -1.9956
31 C -6.3683 1.5966 -9.8080
32 C -5.9347 0.5393 -10.8462
33 C -4.7313 -0.3085 -10.2945
34 S -4.8860 -0.3022 -8.4836
35 O -3.7064 0.3172 -7.8829
36 O -5.4127 -1.6537 -8.0670
37 C -6.3317 0.9026 -8.4918
38 H -7.3674 1.9623 -10.0454
39 H -5.6949 2.4421 -9.9487
40 H -5.8575 0.9724 -11.8435
41 H -6.6948 -0.2190 -11.0341
42 H -3.7272 0.0665 -10.4924
43 H -4.7792 -1.3604 -10.5765
44 H -6.2859 1.3218 -7.4867
45 H -7.1486 0.1812 -8.5138
46 C -1.3979 -0.8442 6.7329
47 C -0.7886 0.6523 6.6343
48 C -0.6972 1.2462 8.0418
49 S -1.5168 -0.0218 9.1962
50 O -2.4375 0.6288 10.1366
51 O -0.3682 -0.7738 9.7164
52 C -2.3271 -0.9801 7.9535
53 H -0.5227 -1.4911 6.7939
54 H -1.9091 -1.1677 5.8262
55 H -1.4753 1.2329 6.0183
56 H 0.1859 0.6192 6.1471
57 H -1.4117 2.0693 8.0469
58 H 0.2256 1.6150 8.4896
59 H -3.3239 -0.6076 7.7172
60 H -2.4631 -1.9840 8.3558
61 C -1.8751 -7.9306 4.7192
62 C -1.1217 -7.0711 3.6460
63 C -0.4636 -7.7961 2.4507
64 S -0.9280 -9.5386 2.6816
65 O 0.2043 -10.1826 3.3716
66 O -1.4282 -10.0817 1.4410
67 C -2.3012 -9.1735 3.9779
68 H -2.7156 -7.4025 5.1696
69 H -1.2829 -8.1190 5.6148
70 H -0.3586 -6.4378 4.0985
71 H -1.7647 -6.3701 3.1138
72 H 0.6177 -7.8860 2.3468
73 H -1.0252 -7.4631 1.5779
74 H -2.4014 -10.1492 4.4534
75 H -3.1689 -8.9632 3.3525
76 C 5.5521 7.9890 2.1808
77 C 5.9229 7.1585 3.4478
78 C 4.8415 6.0885 3.5739
79 S 3.2538 6.8099 2.9404
80 O 2.3900 7.2732 4.0384
81 O 2.6420 5.9151 1.9508
82 C 3.9916 8.2012 2.1247
83 H 6.0444 7.5298 1.3236
84 H 6.0753 8.9428 2.2491
85 H 6.0127 7.8172 4.3116
86 H 6.9672 6.8481 3.4117
87 H 4.5503 5.6731 4.5386
88 H 4.9655 5.2520 2.8863
89 H 3.7813 9.0833 2.7296
90 H 3.5345 8.3810 1.1517
91 C 10.4396 2.5370 -1.4536
92 C 11.7494 1.7872 -1.3005
93 C 12.0451 0.8591 -2.5484
94 S 10.9882 1.4975 -3.9227
95 O 9.9159 0.5413 -4.1475
96 O 11.7159 1.9309 -5.1171
97 C 10.4398 2.9051 -2.8959
+++
DFT (the ωB97M-V functional and the def2-TZVPD basis) results for a 2-piece molecular cluster, C4H11NOS overall.